Iterative Nullspace Projection (INLP)

Shauli Ravfogel and Yanai Elazar

Welcome! this blog post describes our ACL paper on controlled removal of information from representations:

Shauli Ravfogel, Yanai Elazar, Hila Gonen, Micheal Twiton and Yoav Goldberg. Null It Out: Guarding Protected Attributes by Iterative Nullspace Projection. ACL2020

Calling neural models to order

Neural models are notoriously opaque. In recent years we witnessed an array of increasingly powerful models – from word representations to contextualized transformers – that capture many aspects of human language, ranging from the structural aspects of syntax, to more high level semantic aspects. But what can we do if we want to make sure that something is not encoded in the representation? This requirement arises in multiple scenarios. For example, we may want to have word embeddings that focus on lexical semantics, but discard the syntactic distinctions that are often encoded in the embeddings (e.g. tense); and to ensure fairness, we may want to have models that do not encode gender-related information, and do no rely on it.

It is tempting to assume that this problem can be solved by a preprocessing step, which eliminates from the training data the distinctions we do not want to encode: in our embedding-tense example, this can be lemmatization. While this solution is applicable in simple cases such as removing tense distinctions, it becomes much less practical when working with pretrained contextualized models, such as BERT, and when trying to eliminate more vague information such as gender distinctions. First, re-training large language models on new datasets is often impractical for standard practitioners. More importantly, it is not clear how to pre-process the training data, in order to remove gender distinctions: we first have to understand which parts of the input are causally responsible for the gender components in the encoding, and how to neutralize them. As we are about to see, societal concepts such as gender and race are deeply rooted in representations trained on neutral-language corpora, and are often represented in implicit and opaque ways. Naively removing gendered pronouns and first names from the training corpus does reduce the problem, but this is far from a complete solution.

What is currently known

Biases do exist

In recent years, a large body of work has shown that neural models capture subtle cues for protected attributes, such as the gender or the race of the person that wrote the text, of the text’s focus. The first works have focused on word embeddings, and they have shown that word embeddings capture and amplify many statistical differences between groups, that are reflected in the training corpora. For example, due to the imbalance between men and women in STEM fields, the representation of STEM fields such as mathematics is closer to male names than to female names. While this reflects an existing statistical tendency, the models can further amplify this trend; moreover, they can encourage the persistence of this imbalance, by causally influencing real-word decisions., for example, a CV-filtering system that is based on word embeddings, might consider the application of a female nuclear physicist an unlikely event.

Removing few predefined directions is not enough

For word embeddings, one primary post-hoc “debiasing” method is the projection-based method of Bolukbasi et al. (2019). They aim to identify a gender direction in the embedding space, and neutralize it. Consider the direction defined as the difference between two inherently-gendered pairs, such as $\overrightarrow{he} - \overrightarrow{she}$. Subtraction of the two parallel but opposite words should leave us with a direction that supposedly captures (one) aspect of gender in the embedding space. We can delete the projection of each word embedding on this direction, and neutralize that aspect of gender. If one defines the gender content of an embedding as this projection, then we are done. However, Gonen and Goldberg (2019) have shown that this is not sufficient: even after we neutralize this direction, word vectors are still clustered very well by gender (see below, right plot).

Gonen and Goldberg 2019: debiasing-by-projection is not enough

Concepts are manifested in many ways

As we are going to see, gender is encoded in multiple directions, not all of them as interpretable as the $\overrightarrow{he} - \overrightarrow{she}$ direction. the projection-based appraoch implictly assumes that gender is encoded in a very low-dimensional linear subsapce (e.g., the first principle coponent of few human-defined directions). In fact, gender is correlated with multiple orthogonal directions in the embedding space, which cannot be captured in a single direction. For instance, when we remove (using a technique we describe later) the information associated with the directions $\overrightarrow{he} - \overrightarrow{she}$, $\overrightarrow{John} - \overrightarrow{Mary}$ and $\overrightarrow{father} - \overrightarrow{mother}$, we retain classification accuracy of 98.7%. When removing the first learned (rather than pre-specified) direction using our method we fare much better - gender classification accuracy drops to 86% - but is still significantly above random. Only after identifying and neutralizing 35 orthogonal directions do we get to random classification accuracy. While we demonstrated this on gender, we observed a similar phenomenon in many other concepts as well.

Adversarial removal is not exhaustive

When focusing on deep models, on the other hand, projection based methods are much less popular than adversarial training, where we regularize the training with an adversary which tries to predict the protected attributes from the hidden representations of the main-task models. Adversarial method show impressive performance in many tasks, such in domain adaptation for reducing the variability between domains. A similar approach was used to neutralize demographic features in the representations (e.g. 1, 2, 3).

However, Elazar and Goldberg (2018) have shown that even though using adversarial training can hinder the ability to identify some protected attributes in the representations, this method does not completely remove all the information, and it is often still can be recovered using a post-hoc classifier. Our method, which we describe below, can be seen as a special case of adversarial removal, where the adversary is restricted to be linear, and the dual-objective training (which is often unstable) is replaced with a deterministic projection layer. The restriction we impose on the adversary allows us to perform a deterministic removal operation, which we can interpret and even accompany with some guarantees, which we elaborate on in the paper. The resulting representation can then be used in applications, but, if the users want to take advantage of the guarantees, they should make sure to restrict themselves to a linear classification layer on top of it.

To wrap up, existing approaches mostly use either use projection-based debiasing, which is simple and elegant - but limited in power as it is based on neutralizing few human-defined “gender direction” – or adversarial methods, which are data driven and nonlinear, but are opaque and were shown to be not exhaustive. How can we enjoy the benefits of both worlds?

Enter Iterative Nullspace projections

We propose a method that generalizes the previous projection-based methods, and exposes their true potential. Unlike previous methods, we do not presuppose a few “gender directions”, but rather learn them from the data; and we perform an iterative process which aims to remove all gender directions. We begin with an intuitive description of our approach. Consider a linear probe model that is trained to predict gender from a representation. The model is parameterized by a matrix (or, in the binary case, a vector) $W$ that can be interpreted as conveying information on directions in the latent space which are predictive of gender. If we could neutralize those directions, we could eliminate the main features in the representation which encode gender.

Luckily, when using linear probes, linear algebra is equipped with a simple operation that does just that: projection to the nullspace of $W$. Recall that the nullspace of $W$ Is defined as $N(W) =$ {$x|Wx = 0$}, i.e. all vectors in the nullspace are mapped by $W$ to the zero vector, and are orthogonal to W. They thus convey no information that is relevant to gender classification (according to that classifier). If we took the representation $x$ and orthogonally projected it onto $N(W)$, we’d end up with the closest point to the original $x$ that is within the nullspace, and we’d neutralize the gender features used by $W$. The animation below gives a geometric demonstration of this idea in the 2-dimensional case:

Empirically we find that the latent space is approximately linearly separable by gender according to multiple different orthogonal planes. So we just repeat the process: we learn the first gender probe $W_1$, calculate its nullspace $N(W_1)$ and the projection $P_{N(W_1)}$ onto the nullspace, project the data to get a first “debiased” version $P_{N(W_1)}X$; and then we train the second gender classifier $W_2$ on the “debiased” data, calculate its nullspace $N(W_2)$ and projection $P_{N(W_2)}$, apply it to get a second “debiased” version of the data $P_{N(W_2)}P_{N(W_1)}X$, and so forth. We continue this process until no linear probe achieve above random accuracy. At this point we return the final “debiasing” projection $P=P_{N(W_n)}…P_{N(W_2)}P_{N(W_1)}$. This is the essence of our algorithm, which we call Iterative Nullsapce Projection (INLP).

## Materials data from another source follow
Structure and computed powder XRD pattern of KMgAg2SbS4 (the PBE geometry in the Materials Project; copper Kα).
Peak positions follow from Bragg's law for the DFT cell and can differ from measured ones.

Main lines, in order of rising 2θ (10 to 90 degrees two-theta):
(hkl), d [Å], Position (°2θ), I/Imax
0 0 1, 7.486, 11.8, 640
1 0 0, 5.461, 16.2, 890
0 1 -1, 4.335, 20.5, 1000
1 0 -1, 4.225, 21.0, 491
1 1 -1, 3.999, 22.2, 504
1 1 2, 3.396, 26.2, 638
1 -1 0, 3.286, 27.1, 523
2 1 1, 3.014, 29.6, 547
1 -1 1, 3.002, 29.8, 469
2 2 0, 2.676, 33.5, 541
0 1 3, 2.388, 37.7, 387
0 3 0, 1.917, 47.4, 368

Structure:
```
data_KMgAg2SbS4
_symmetry_space_group_name_H-M 'P 1'
_symmetry_Int_Tables_number 1
_cell_length_a 6.2098
_cell_length_b 6.5504
_cell_length_c 7.6350
_cell_angle_alpha 80.03
_cell_angle_beta 80.58
_cell_angle_gamma 62.06
loop_
_symmetry_equiv_pos_as_xyz
'x,y,z'
loop_
_atom_site_label
_atom_site_type_symbol
_atom_site_fract_x
_atom_site_fract_y
_atom_site_fract_z
_atom_site_occupancy
K1 K 0.0000 0.0000 0.0000 1
Mg1 Mg 0.8453 0.6515 0.4625 1
Ag1 Ag 0.3617 0.0443 0.3604 1
Ag2 Ag 0.6499 0.6884 0.8607 1
Sb1 Sb 0.5213 0.3420 0.6167 1
S1 S 0.1515 0.2827 0.5975 1
S2 S 0.4568 0.4303 0.9193 1
S3 S 0.6665 0.7533 0.1911 1
S4 S 0.8280 0.9192 0.6582 1
```


Structure and computed powder XRD pattern of Na3LaSi2GeSO12 (the PBE geometry in the Materials Project; copper Kα).
Peak positions follow from Bragg's law for the DFT cell and can differ from measured ones.

Main lines, in order of rising 2θ (10 to 90 degrees two-theta):
(hkl), d [Å], Position (°2θ), I/Imax
1 1 -1, 6.894, 12.8, 533
0 2 0, 4.910, 18.1, 314
2 0 -2, 4.841, 18.3, 902
1 1 1, 4.702, 18.9, 925
3 1 -1, 4.565, 19.4, 874
2 2 -1, 4.109, 21.6, 507
2 2 -2, 3.447, 25.8, 456
3 1 -3, 3.065, 29.1, 792
4 2 -2, 2.982, 30.0, 716
5 1 -1, 2.817, 31.8, 592
1 3 1, 2.794, 32.0, 1000
2 0 2, 2.678, 33.5, 393

Structure:
```
data_Na3LaSi2GeSO12
_symmetry_space_group_name_H-M 'C 1 c 1'
_symmetry_Int_Tables_number 9
_cell_length_a 15.5092
_cell_length_b 9.8192
_cell_length_c 9.6902
_cell_angle_alpha 90.00
_cell_angle_beta 126.24
_cell_angle_gamma 90.00
loop_
_symmetry_equiv_pos_as_xyz
'x,y,z'
'x,-y,z+1/2'
'x+1/2,y+1/2,z'
'x+1/2,-y+1/2,z+1/2'
loop_
_atom_site_label
_atom_site_type_symbol
_atom_site_fract_x
_atom_site_fract_y
_atom_site_fract_z
_atom_site_occupancy
Na1 Na 0.0000 0.0646 0.0000 1
Na2 Na 0.3763 0.0702 0.7170 1
Na3 Na 0.4451 0.2513 0.1459 1
La1 La 0.0920 0.2624 0.4790 1
Si1 Si 0.0275 0.3760 0.0606 1
Si2 Si 0.1856 0.0487 0.8737 1
Ge1 Ge 0.2724 0.1941 0.2318 1
S1 S 0.3461 0.4262 0.6656 1
O1 O 0.0136 0.3551 0.2100 1
O2 O 0.0192 0.4670 0.5056 1
O3 O 0.1086 0.1479 0.7141 1
O4 O 0.1239 0.0460 0.4228 1
O5 O 0.1432 0.2838 0.1195 1
O6 O 0.2471 0.3755 0.6372 1
O7 O 0.2623 0.0504 0.3391 1
O8 O 0.2793 0.1324 0.0597 1
O9 O 0.3526 0.4242 0.1831 1
O10 O 0.3544 0.3822 0.5293 1
O11 O 0.4236 0.2080 0.3773 1
O12 O 0.4293 0.3622 0.8359 1
```
## The materials data stop here

Handling deep models

But what about deeper models? we take use of the fact they can be decomposed into a deep encoder and a final linear layer. We apply INLP on the final hidden representation, and potentially perform finetuning of the last linear layer afterwards. Since it’s linear, and INLP projection is not invertible, the linear layer cannot recover the removed information.

We test our method on increasingly complex settings: debiasing static word embeddings, deep binary classification and deep multiclass classification.

“Debiasing” word embeddings

We begin with removing gender associations from GloVe word embeddings. Following previous works, we annotate word vectors by gender bias according to their projection on the $\overrightarrow{he} - \overrightarrow{she}$ direction. Initially, word vectors are clustered by gender bias:

The following animation displays t-SNE projections of the data points as the INLP process progresses It is evident that the vectors become increasingly mixed, and are no longer clustered by gender. We also quantified this effect using a measure for cluster purity.

We used WEAT to measure whether the transformed vectors still show undesired associations between socially-biased terms and female and male names. Those associations are strong from the original embeddings, but became insignificant following INLP.

~~~
[1]
The following is a computed XRD peak list of K2Te5Au. It was derived from DFT lattice parameters and positions (GGA-PBE), using λ = 1.5418 Å (Cu Kα).
Peak positions follow from Bragg's law for the DFT cell and can differ from measured ones.

Top 10 peaks for 5° ≤ 2θ ≤ 70°, sorted by position:
| hkl | Position (°2θ) | I_rel |
| --- | --- | --- |
| 1 1 0 | 16.6 | 27 |
| 0 0 2 | 17.3 | 100 |
| 1 1 2 | 24.0 | 58 |
| 0 2 2 | 26.2 | 27 |
| 2 2 0 | 33.5 | 71 |
| 1 3 2 | 37.0 | 19 |
| 2 2 2 | 37.9 | 56 |
| 0 4 0 | 39.6 | 22 |
| 0 4 2 | 43.5 | 19 |
| 2 2 4 | 49.2 | 26 |

Cell and atoms:
Cell: 6.6118 9.1029 10.2566 Å, 90.00 90.00 90.00°
Space group Imm2 (No. 44)
One atom of each set of equivalent atoms:
K: 0.0000 0.0000 0.0000 x2
K: 0.0000 0.0000 0.4964 x2
Te: 0.0000 0.5000 0.3322 x2
Te: 0.2449 0.2575 0.7426 x8
Au: 0.0000 0.5000 0.7809 x2

---

[2]
The following is a computed XRD peak list of K6LiFe24S26Cl. It was derived from DFT lattice parameters and positions (GGA-PBE), using λ = 1.5418 Å (Cu Kα).
Peak positions follow from Bragg's law for the DFT cell and can differ from measured ones.

Top 10 peaks for 5° ≤ 2θ ≤ 70°, sorted by position:
| hkl | Position (°2θ) | I_rel |
| --- | --- | --- |
| 1 0 0 | 9.0 | 51 |
| 1 1 0 | 12.7 | 34 |
| 1 1 1 | 15.6 | 50 |
| 3 1 0 | 28.7 | 28 |
| 3 1 1 | 30.1 | 47 |
| 2 2 2 | 31.5 | 61 |
| 3 3 1 | 39.9 | 57 |
| 3 3 3 | 48.0 | 14 |
| 4 4 0 | 52.6 | 100 |
| 6 2 2 | 62.6 | 13 |

Cell and atoms:
Cell: 9.8396 9.8396 9.8396 Å, 90.00 90.00 90.00°
Space group Pm-3m (No. 221)
One atom of each set of equivalent atoms:
K: 0.0000 0.0000 0.3006 x6
Li: 0.5000 0.5000 0.5000 x1
Fe: 0.1349 0.3654 0.3654 x24
S: 0.0000 0.2505 0.5000 x12
S: 0.2246 0.2246 0.2246 x8
S: 0.2473 0.5000 0.5000 x6
Cl: 0.0000 0.0000 0.0000 x1

---

[3]
The following is a computed XRD peak list of Zr3AlTl. It was derived from DFT lattice parameters and positions (GGA-PBE), using λ = 1.5418 Å (Cu Kα).
Peak positions follow from Bragg's law for the DFT cell and can differ from measured ones.

Top 10 peaks for 5° ≤ 2θ ≤ 70°, sorted by position:
| hkl | Position (°2θ) | I_rel |
| --- | --- | --- |
| 1 1 0 | 16.9 | 71 |
| 1 1 1 | 23.4 | 98 |
| 0 0 2 | 32.4 | 30 |
| 0 6 0 | 34.3 | 57 |
| 0 2 2 | 34.4 | 30 |
| 1 5 1 | 36.7 | 25 |
| 2 2 1 | 38.0 | 100 |
| 0 4 2 | 39.9 | 26 |
| 1 3 2 | 40.3 | 63 |
| 2 4 1 | 43.1 | 45 |

Cell and atoms:
Cell: 5.5632 15.6915 5.5314 Å, 90.00 90.00 90.00°
Space group Cmcm (No. 63)
One atom of each set of equivalent atoms:
Zr: 0.0000 0.0000 0.0000 x4
Zr: 0.2504 0.1536 0.2500 x8
Al: 0.0000 0.4737 0.2500 x4
Tl: 0.0000 0.1730 0.7500 x4

---

[4]
The following is a computed XRD peak list of Li2Dy2ThIn2. It was derived from DFT lattice parameters and positions (GGA-PBE), using λ = 1.5418 Å (Cu Kα).
Peak positions follow from Bragg's law for the DFT cell and can differ from measured ones.

Top 10 peaks for 5° ≤ 2θ ≤ 70°, sorted by position:
| hkl | Position (°2θ) | I_rel |
| --- | --- | --- |
| 1 0 1 | 21.3 | 100 |
| 1 0 7 | 31.7 | 78 |
~~~
• So much for the records of crystals:

Debiasing: in the wild

Finally, we test our method on a multi-class fair classification setting. We use the profession-prediction datasets presented in De-Arteaga et al. (2019). The dataset contains short biographies, divided into 28 professions and annotated by gender. It has been shown that models trained on this dataset tend to condition on gender, due to the imalanaced representation of men and women in some professions. We use 3 models: bag of words, bag of word vectors, and BERT. In all cases, we perform INLP on the last hidden representation, and then finetuned the last linear layer. The intervention decreases the True Positive Rate Gap (TPR-Gap) between men and women, and the correlation between the bias and the percentage of women in each profession is mitigated:

We noted earlier that in INLP we treat the classifiers we train for the prediction of the protected attributes, as conveying information on latent features that are correlative to the property we focus on. We can emrbace this view to shed light on the different facets by which gender bias is manifested in neural models. We used the bag-of-word-embeddins model for the biographies dataset, and inspect the top 15 gender directions identified by INLP. we then inspect the closest words to each of those directions:

Interestingly, many of of the directions are interpretble: the first direction seems to capture gendered pronouns; the third ones – first names ,and other gendered words; and more. At the same times, some gender associations are harder to interpret, for instance the association between “manufacturer”, “specifications” and “addressing” with male biographies. It is not clear if those represent merely spurious correlations, or whether they reflect actual subtle differences between the biographies of men and women.

What’s next?

We have identified two key weaknesses of previous projection-based information-removal methods, and proposed a new method which is both data-driven and exhaustive. We see this method as a strong alternative to adversarial removal of information: while we focused on gender as a case study, one can use INLP to selectively remove any kind of information from representations, in a controlled manner - provided that we have annotation for that property. This can also serve as a behavioral test: we can remove some information, and inspect how does its removal influences the behavior of the model in some other main task (e.g. language modeling).

Moreover, one can use INLP to study the information we focus on, rather than to neutralize it. Recall that in INLP we identify a set of directions in the latent space which correspond to the protected attribute. While in the conventional use we discard those directions, in a complementary setting we can alternatively discard all other directions, maintaining only the components of the representation space that are related to it. Under this setting, INLP serves as a supervised dimensionality reduction method: we distill the part of the representation we are interested in. This can have multiple use cases: exploring BERT’s “syntactic subspace” (e.g. by using INLP to find the subspace that encodes dependency edge identity); analyzing BERT “gender subspace” (which sentences are close in that subspace, but not necessarily in the original representation space? which phrases influence the representation on the gender subspace – and which do not?); and more. we hope that this work would shed more light on the intricate and subtle ways bias is represented. More generally, we see it as another step forward towards the goal of achieving controllable representations, which can safely find real-world applications.

A word of warning

Since bias can have real world ramifications, one should always be cautious when examining claims on bias mitigation. Naturally, as a research paper, we worked on certain datasets and examined only several notions of bias. It is certain that INLP does not neutralize all gender content from the representations. In addition, it only aims to remove linearly-present information: while we show it can also be successfully applied to deep models, the user is responsible not to use nonlinear layers on top of it.

Try it out!

We release the code and models used in this work, to foster new applications and usages, as well as reproducibility.

Faculty Fellow